Many years ago I acted in a play called Spring Awakening. Which happens to be running on Broadway, 2 blocks from where my friends Subbu and Aparna live. Since this was so long ago, there isn’t too much I remember about the play except that we performed at Kala Mandir Basement in Calcutta during a time when English theatre was very popular with the student population and the burra saab snooty families of the city. I also remember some of the other cast members, the only claim to fame being Smita Tharoor, sister of author Shashi Tharoor and winner of the Miss Calcutta beauty pageant. In addition I remember having a crush on this other girl, whose initials are VS and who sadly didn’t feel the same way about me. Instead there was this third girl (whose name I can’t for the life of me remember) who felt the way I wanted VS to feel. And since I don’t even remember her initials, I’m sure you can understand the impact she made on me.
However, I digress here. Because this piece isn’t about the play. Or about the people that were a part of the play. I just happened to think of it since I’m so eagerly awaiting the arrival of spring.
For the folks that have been living in New York for a while, this has been a mild winter. We had only a few really arctic days and just one snowfall where the white stuff stuck on the ground for a couple of days. It’s not even the cold that has bothered me as much as it’s been the gloom. Cloudy, rainy, dark, gloomy days. How many of those can one take without feeling low? Coupled with flight cancellations, having to walk to places, not being able to find a cab, wind chill, it can become a real downer.
Hopefully the worst is behind us. Although one can never predict anything with the weather system anymore. Nothing is a surprise, what with tornados in December, snow in April, hot and humid conditions in October, who knows what’s really coming next.
Between two parts of the article: molecular data:
~~~
Here is a cluster of 12 separate species, C11H40F5N21O17S3 in total from the Open Molecules 2025 dataset. Energies are from ωB97M-V with the def2-TZVPD basis set.

The geometry in ORCA input format:
```
! RIJCOSX wB97M-V def2-TZVPD def2/J DEFGRID3
* xyz -2 1
C -11.030 10.838 -16.463
F -10.987 10.699 -17.795
F -12.317 10.853 -16.091
F -10.308 9.786 -16.020
S -10.227 12.400 -15.809
O -8.816 12.130 -15.556
O -10.421 13.324 -16.926
O -10.906 12.746 -14.565
N -16.137 12.685 -17.722
S -16.449 13.550 -18.957
O -17.618 13.149 -19.705
O -15.405 14.301 -19.576
F -17.145 14.715 -18.068
S -15.494 11.397 -18.632
O -14.403 11.687 -19.527
O -16.382 10.348 -19.016
F -14.728 10.732 -17.394
C -14.451 7.093 -17.906
O -15.548 7.308 -18.442
N -13.597 8.060 -17.504
N -13.966 5.830 -17.719
H -14.050 8.964 -17.572
H -12.610 7.950 -17.386
H -12.994 5.618 -17.843
H -14.662 5.109 -17.805
C -12.137 9.001 -21.189
O -11.116 9.619 -20.943
N -13.398 9.521 -21.056
N -12.139 7.671 -21.572
H -13.553 10.373 -20.528
H -14.091 8.992 -21.550
H -11.165 7.421 -21.687
H -12.787 7.384 -22.285
C -12.158 15.547 -18.737
O -11.095 16.070 -18.409
N -13.199 16.252 -19.277
N -12.314 14.196 -18.764
H -14.028 15.744 -19.522
H -13.162 17.253 -19.210
H -11.531 13.665 -18.376
H -13.085 13.755 -19.228
C -18.430 12.576 -14.907
O -19.318 12.674 -14.056
N -17.731 13.625 -15.471
N -18.002 11.386 -15.393
H -18.046 14.582 -15.375
H -17.231 13.419 -16.329
H -18.598 10.657 -15.023
H -17.343 11.451 -16.139
C -18.470 17.349 -15.509
O -17.698 16.456 -15.873
N -18.289 18.014 -14.345
N -19.575 17.605 -16.245
H -17.434 17.889 -13.832
H -18.881 18.728 -13.961
H -20.187 18.297 -15.848
H -19.618 17.241 -17.177
C -15.766 18.467 -18.475
O -14.932 19.160 -19.063
N -16.376 17.408 -19.047
N -16.067 18.690 -17.167
H -16.960 16.843 -18.455
H -16.211 17.152 -20.000
H -16.766 18.148 -16.676
H -15.327 19.098 -16.625
C -17.760 7.616 -15.528
O -18.567 8.058 -14.701
N -17.421 8.298 -16.646
N -17.138 6.436 -15.315
H -18.040 9.035 -16.939
H -16.672 7.975 -17.263
H -16.452 6.086 -15.960
H -17.348 5.882 -14.510
C -17.646 7.969 -21.890
O -18.396 7.721 -22.835
N -17.165 7.026 -21.033
N -17.196 9.199 -21.548
H -17.450 6.072 -21.157
H -16.431 7.198 -20.370
H -17.290 9.912 -22.248
H -16.610 9.302 -20.735
C -13.666 14.342 -15.290
O -12.763 14.527 -14.491
N -14.201 15.349 -16.048
N -14.357 13.176 -15.452
H -14.983 15.204 -16.654
H -13.910 16.287 -15.851
H -15.201 13.090 -16.008
H -13.974 12.334 -15.060
C -20.999 11.033 -16.950
O -20.534 9.945 -17.262
N -20.603 12.247 -17.463
N -22.090 11.139 -16.128
H -21.213 12.994 -17.726
H -19.783 12.035 -18.021
H -22.399 10.267 -15.736
H -22.017 11.966 -15.553
*
```

E_LUMO   3.07 eV
Orbital gap   6.397 eV
Highest occupied orbital energy   -3.3 eV

***

Here is a cluster of 9 separate species, C11H40N8O9 in total from the Open Molecules 2025 dataset. Energies are from ωB97M-V with the def2-TZVPD basis set.

The geometry in ORCA input format:
```
! RIJCOSX wB97M-V def2-TZVPD def2/J DEFGRID3
* xyz 0 1
~~~
And what’s with the spring collection in stores in January during sub-zero temperatures? I lost my really cool pair of ear muffs but I couldn’t find another pair for the life of me because stores were selling sunglasses and tank tops. Why would I want to walk into a store and try on a pair of shorts and a polo shirt and spend 10 minutes taking off all my layers and putting them back on again? I really DO have a life!
With what you’ve read so far, I’m sure you would never think that I’m just not a cold weather person! However it really is true. I admit that I don’t like winters (gasp). The cold makes me want to stay home instead of going out. It makes me want soup instead of sushi. It makes my teeth chatter when I’m outside and a few minutes later break into a sweat in the subway station. It brings rich Europeans to New York City at Christmas time who stand in line outside Tiffany’s and Saks Fifth Avenue like they’re a Walmart selling discounted junk.
• Next to the text, the page also holds records of molecules:
Molecular formula: C41H58CrN2O4S
Method: DFT, ωB97M-V/def2-TZVPD

Values from the calculation:
E_LUMO (spin up / spin down) in eV: 4.07 / 4.07
Energy relative to the best compared isomer or geometry (same formula, charge and spin) in eV: 0.074
2S+1: 5
Largest force on an atom in eV/Å: 0.60
Charge: -2
E_tot in Ha: -3450.45526

```
107
Properties=species:S:1:pos:R:3:lowdin_spin:R:1
Cr 0.624 -1.868 -0.511 3.7478
C -1.703 -2.962 -3.129 0.0014
N -2.023 -2.004 -2.089 0.0156
C -3.118 -2.478 -1.267 0.0008
C -2.252 -0.678 -2.616 0.0010
C -0.957 0.049 -2.949 0.0027
N -0.048 0.292 -1.831 0.0290
C 1.232 0.751 -2.424 0.0031
C 2.220 1.328 -1.451 0.0038
C 2.694 2.611 -1.641 0.0000
C 3.612 3.207 -0.776 0.0040
C 4.013 2.444 0.319 -0.0001
C 3.565 1.149 0.564 0.0033
C 2.657 0.540 -0.350 0.0060
O 2.225 -0.660 -0.167 0.0403
C 3.993 0.374 1.813 0.0006
C 4.898 1.195 2.736 0.0000
C 2.744 -0.022 2.618 0.0004
C 4.770 -0.893 1.413 0.0000
C 4.104 4.628 -1.039 0.0005
C 2.915 5.601 -1.047 0.0003
C 5.095 5.108 0.024 0.0000
C 4.807 4.693 -2.403 0.0002
C -0.541 1.278 -0.862 0.0020
C -1.656 0.885 0.082 0.0043
C -2.791 1.684 0.132 0.0002
C -3.791 1.498 1.075 0.0037
C -3.577 0.488 2.017 -0.0004
C -2.466 -0.339 2.023 0.0020
C -1.478 -0.187 0.994 0.0049
O -0.473 -0.987 0.912 0.0333
C -2.287 -1.421 3.093 0.0003
C -2.332 -2.816 2.454 0.0005
C -0.948 -1.221 3.820 0.0002
C -3.389 -1.365 4.157 0.0000
C -5.066 2.338 1.135 0.0005
C -5.153 3.068 2.483 0.0002
C -6.295 1.430 0.982 0.0002
C -5.117 3.390 0.026 0.0000
H -2.520 -3.027 -3.876 0.0002
H -0.775 -2.688 -3.632 0.0006
H -1.566 -3.947 -2.687 0.0001
H -4.049 -2.608 -1.855 0.0005
H -2.839 -3.433 -0.821 0.0001
H -3.312 -1.763 -0.465 0.0001
H -2.866 -0.712 -3.540 0.0005
H -2.817 -0.108 -1.881 0.0001
H -0.397 -0.542 -3.678 0.0004
H -1.210 1.012 -3.438 0.0010
H 1.661 -0.113 -2.940 0.0010
H 1.020 1.521 -3.187 0.0008
H 2.320 3.165 -2.499 0.0001
H 4.706 2.883 1.021 -0.0001
H 4.413 2.114 3.073 0.0000
H 5.133 0.597 3.621 0.0000
H 5.841 1.458 2.247 0.0000
H 2.228 0.870 2.983 0.0000
H 2.048 -0.589 2.002 0.0011
H 3.028 -0.631 3.483 0.0000
H 5.677 -0.629 0.863 0.0000
H 5.059 -1.453 2.309 0.0000
H 4.156 -1.530 0.781 0.0001
H 2.408 5.585 -0.081 0.0000
H 3.251 6.624 -1.250 0.0000
H 2.186 5.325 -1.810 0.0000
H 4.638 5.117 1.015 0.0000
H 5.978 4.467 0.061 0.0000
H 5.422 6.125 -0.210 0.0000
H 4.134 4.382 -3.204 0.0000
H 5.150 5.711 -2.618 0.0000
H 5.669 4.023 -2.416 0.0000
H 0.315 1.547 -0.239 0.0003
H -0.841 2.197 -1.401 0.0010
H -2.871 2.477 -0.604 0.0001
H -4.331 0.342 2.780 -0.0001
H -1.582 -2.938 1.676 0.0001
H -2.168 -3.580 3.222 0.0000
H -3.315 -2.996 2.007 0.0000
H -0.119 -1.287 3.121 0.0001
H -0.921 -0.241 4.307 0.0000
H -0.826 -1.991 4.589 0.0000
H -4.375 -1.565 3.730 0.0000
H -3.191 -2.133 4.909 0.0000
H -3.419 -0.395 4.663 0.0000
H -5.149 2.361 3.314 0.0000
H -4.296 3.734 2.608 0.0000
H -6.071 3.664 2.545 0.0000
H -6.322 0.670 1.764 0.0000
H -7.220 2.015 1.038 0.0000
H -6.265 0.914 0.020 0.0000
H -4.283 4.091 0.105 0.0000
• Here the text continues:
But most of all I love spring because it means green trees instead of brown, it means more of the sun and less of the clouds, it means longer days, bigger smiles, more people on the streets, fewer clothes and not to forget a spring in my step! Bring it on baby!!